

 What is blockchain technology



blockchain technology

Blockchain We'll start with the definition.  So, to better understand how Block chains are distributed let's start with an analogy. Let's say I am with a group of friends and lend my friend Pat ten dollars. Now the friends see the transaction go down and they know that I have the correct amount of money and in addition they've essentially endorsed the transaction and they made a record of it. 

Now next week when Pat comes back to me to ask how much money had initially lent her, we could easily go to any of my friends that have a record of that transaction. Next let's introduce the fact the Blockchains are immutable. To do so let's dive into the pieces that makeup a block chain.  

block chain technology explained

First, we're going to have the transactions. So, this is going to be all the transactions that occurred when that block was created. In addition, there's going to be a hash.

 So, let's take a couple letters for the hash, generally it's an alphanumeric sequence and is usually a lot longer, more secure.  

So, let's say where you know right in the middle of the Block chain here and we'll pick something for the previous hash, maybe "2a",and so now let's move on to the next block. 

And so on, and so forth we can kind of extrapolation all of the hashes in previous sessions.  So, we'll start with the permission less Block chain.



********
Entry 1:
This record from the OMol25 dataset describes a structure of composition C13H24AgN6NbO. The level of theory is ωB97M-V/def2-TZVPD.

XYZ file:
```
46
C13H24AgN6NbO | the OMol25 dataset | ωB97M-V/def2-TZVPD
Ag 0.872 0.901 -2.914
Nb 0.100 -0.107 -0.184
O 4.237 -1.132 0.793
N 0.025 0.746 6.344
N -0.102 1.704 -1.107
N -0.461 -0.387 4.182
N 2.025 -0.470 0.159
N -0.659 -1.626 -1.260
N -0.324 -0.082 1.782
C -0.178 0.270 5.290
C 0.453 3.086 -1.103
C -0.149 -3.167 0.602
C 1.961 2.997 -0.913
C -1.597 1.625 -1.172
C 3.135 -0.823 0.520
C -1.706 -3.862 -1.220
C -0.455 -3.044 -0.890
C 0.734 -3.581 -1.692
C -0.347 -0.053 2.987
C 0.115 3.714 -2.468
C -0.162 3.930 0.011
C -1.153 -1.438 -2.628
H 1.643 -3.000 -1.477
H -1.959 0.649 -0.748
H -1.878 -3.924 -2.298
H 2.223 2.484 0.020
H -2.589 -3.425 -0.745
H -2.064 2.428 -0.585
H -1.232 4.121 -0.150
H 0.638 4.676 -2.567
H 0.331 4.913 0.010
H -1.579 -4.882 -0.835
H -1.938 1.688 -2.218
H -0.770 -2.235 -3.274
H -2.251 -1.420 -2.666
H -0.808 -0.485 -3.062
H 2.444 2.468 -1.745
H 0.537 -3.531 -2.769
H 0.904 -4.631 -1.411
H 0.445 3.070 -3.307
H -1.005 -2.841 1.217
H 0.038 -4.232 0.825
H -0.006 3.472 0.998
H -0.969 3.866 -2.572
H 0.757 -2.594 0.879
H 2.367 4.018 -0.893
```

Values from the calculation:
Frontier orbital gap (alpha / beta), eV: 6.448 / 6.450
Total charge: +2
Energy relative to the best compared isomer or geometry (same formula, charge and spin), eV: 0.000

Charges computed using Mulliken, reported in e: 0.52 1.54 -0.36 -0.31 0.44 -0.35 -0.73 0.41 -0.72 0.41 0.51 -1.59 -1.43 -1.04 0.68 -1.56 0.86 -1.26 0.53 -1.26 -1.58 -0.91 0.28 0.48 0.38 0.28 0.41 0.35 0.48 0.45 0.47 0.46 0.36 0.47 0.34 0.10 0.34 0.36 0.44 0.31 0.35 0.54 0.35 0.39 0.34 0.48


Entry 2:
This record from the OMol25 dataset describes a cluster of 6 separate species, C5H21Br4N3O3 in total. The level of theory is ωB97M-V/def2-TZVPD.

XYZ file:
```
36
C5H21Br4N3O3 | the OMol25 dataset | ωB97M-V/def2-TZVPD
Br 0.368 -4.143 2.278
Br -3.254 -1.175 1.771
Br -3.442 -3.599 -1.324
Br -2.325 0.557 -3.294
O -0.289 0.233 -0.202
O 0.524 2.363 -0.034
O 1.432 0.750 1.139
N 0.672 4.197 -2.026
N 3.246 2.956 1.113
N 2.444 -1.759 1.488
C -1.443 -1.873 2.334
C 0.568 1.134 0.304
C -2.477 -1.857 -1.761
C -3.153 -1.239 -3.008
C -1.142 -3.170 1.518
H -0.725 0.795 -0.847
H 0.634 3.576 -1.230
H -1.394 -1.938 -1.846
H 3.095 3.763 1.701
H 2.107 -2.473 2.118
H -0.976 -3.033 0.449
H -2.023 -3.782 1.712
H 3.446 -1.886 1.460
H -4.193 -1.080 -2.726
H 2.352 2.506 0.984
H -1.450 -2.064 3.408
H 2.099 -0.867 1.813
H -2.953 -1.741 -3.955
H 0.078 3.722 -2.690
H 0.282 5.112 -1.853
H 2.122 -1.789 0.532
H 1.570 4.368 -2.454
H -0.785 -1.004 2.313
H 3.666 3.227 0.235
H 3.853 2.294 1.576
H -2.533 -1.083 -0.996
```

Values from the calculation:
Frontier orbital gap (alpha / beta), eV: 10.143 / 4.330
Total charge: +3
Energy relative to the best compared isomer or geometry (same formula, charge and spin), eV: 0.000
Multiplicity: 2
********


how does blockchain technology work



blockchain technology how does it work


Now, the next thing I want to talk about is the idea of a permission versus a permission less Block chain. So, we'll start with the permission less Block chain.  

Now attendees are not exactly revealed, it’s only the addresses that people have, but regardless all the transactions are public and in addition anyone can register themselves to be one of the nodes in the network essentially having copy of the block chain and anytime it gets updated and new transactions are made they would get a new block.






blockchain information


Types of block chain technology

1 .  private key 


 2 . public key


A private key right you could Make this one is a private key It's not a very good one lots of people have thought of the number one before but you could you know you could pick some really long number and it's sort of a random number and We can use that as a private key. 


what is a blockchain

Now. You can see every time. I'm adding digits here its Recomposing the public key that relates to that private key, and that's why the stuff down Here starts changing so as the name would imply this Private key is to be kept private only you have this private key, and you never tell it to anyone else Okay, and just as the name implies Public key the public key here,

 you just tell everyone this is something that you want everybody to know This is something that there's no harm in letting everyone know There is not a way to derive from this public key What the private key is okay? 

So it's just a kind of a public Version of this private key that does not reveal what the private key is Okay, so I'm going to hit my little ray number generator, so I get a nice really long private key And it's not something you know where the numbers are close together where I typed On the keyboard it's something a little bit more random looking and then the system has derived a public key From this so this is going to be my private key, and I'm going to use this to do signatures So let's do that right now, so Here's a message signature So here is a message.

blockchain wallet

blockchain my wallet



I'm going to type. You know hello on dears. That's me and I have My private key here six five six whatever it is my private key only I have that and here's the message that only I have And I can hit sign and come up with a message signature here now this message Signature I can pass to someone else I'm going to hit my little verify button I'm going to pass this message signature to someone else to anybody else okay now of course they don't have my private key because I keep that private nobody else can see that but I Publicize my public key, and they know that everybody knows that this is my public key

what is blockchain technology


 So given this message and everybody knows my public key and given the signature that I just made You should be able to verify this now of course if I hit verify sure enough the screen goes green This is a valid message And I have verified that whoever signed this message and came up with a signal Signature had access to the private key behind this public key Okay, and if I have kept that private key secret that must be me okay 

So that's a message signature And how you can sign something and verify it now instead of just using this freeform text box Let's put some structure around this. I'm going to make a transaction here instead all right. 

This is similar to what we saw before the message I'm going to say is I'm going to send twenty dollars from this happens to be my public key to Somebody else's public key whoever this is that I'm sending money to okay? I Of course because I'm Simon smashes.


 I have my private key. I never tell anybody the private key, but I can use this private key to sign this message Which consists of these three things up here? And if I hit sign I get a message signature great all right now I send this whole thing out I send out my message and my signature to somebody else and They know that I'm trying to send twenty dollars from my public key to this somebody else's public key .


what is a blockchain

# These data records were left in the entry by mistake
Below is C41H37Br5F3LaN4O6PS4 as an isolated structure in a non-equilibrium geometry, with properties calculated with the ωB97M-V functional and the def2-TZVPD basis.

highest occupied orbital energy: -4.5 eV
LUMO level: 0.0549 Eh
energy relative to the best compared isomer or geometry (same formula, charge and spin): 21.0 kcal/mol
E_tot: -17390.78069 hartree

The geometry in ORCA input format:
```
! RIJCOSX wB97M-V def2-TZVPD def2/J DEFGRID3
* xyz -1 1
La -0.84 -0.65 -0.55
Br -1.14 -7.76 1.70
C -1.52 -6.10 0.89
C -2.66 -5.94 0.11
Br -3.87 -7.37 -0.16
C -2.91 -4.69 -0.48
Br -4.46 -4.36 -1.52
C -2.04 -3.63 -0.32
O -2.22 -2.43 -0.84
C -0.88 -3.78 0.49
O -0.14 -2.73 0.67
C -0.65 -5.02 1.08
Br 0.88 -5.13 2.20
Br -7.93 -2.04 3.26
C -6.11 -1.71 2.85
C -5.25 -1.30 3.86
C -3.92 -1.06 3.55
C -3.46 -1.23 2.25
C -4.33 -1.62 1.25
C -5.66 -1.88 1.55
N -2.09 -0.94 1.95
C -1.23 -1.46 2.72
C 0.22 -1.09 2.71
C 1.03 -1.58 3.71
C 2.37 -1.20 3.70
C 2.83 -0.36 2.70
C 1.93 0.06 1.74
N 0.65 -0.29 1.74
H -5.62 -1.15 4.87
H -3.25 -0.70 4.32
H -3.97 -1.75 0.24
H -6.33 -2.21 0.77
H -1.51 -2.18 3.49
H 0.64 -2.26 4.45
H 3.05 -1.58 4.46
H 3.87 -0.06 2.63
H 2.25 0.69 0.91
C -2.98 6.39 2.14
C -2.85 5.47 0.97
C -2.34 5.80 -0.23
C -2.30 4.79 -1.23
N -2.72 3.57 -1.04
C -3.23 3.21 0.17
S -3.69 1.68 0.59
N -3.29 4.20 1.14
C -1.77 5.11 -2.60
H -2.48 7.33 1.93
H -2.53 5.95 3.03
H -4.03 6.59 2.36
H -1.96 6.80 -0.42
H -3.66 3.90 2.03
H -1.20 6.03 -2.62
H -2.62 5.22 -3.28
H -1.17 4.28 -2.97
C 0.18 2.23 -1.96
C 0.61 2.83 -0.66
O -0.15 2.24 0.40
C -0.02 3.01 1.59
C -0.78 2.40 2.74
H 0.74 2.69 -2.78
H -0.90 2.35 -2.10
H 0.45 1.17 -2.05
H 0.42 3.92 -0.66
H 1.68 2.68 -0.49
H -0.39 4.03 1.38
H 1.05 3.12 1.83
H -1.72 1.96 2.39
H -1.02 3.18 3.47
H -0.21 1.63 3.25
F -3.44 0.91 -4.90
C -2.21 0.45 -4.66
F -1.75 -0.16 -5.76
F -1.42 1.51 -4.43
S -2.26 -0.74 -3.28
O -0.85 -1.09 -3.06
O -3.14 -1.74 -3.77
O -2.69 0.07 -2.12
S 3.50 1.40 -2.42
P 3.53 -0.49 -1.84
S 1.92 -1.45 -1.15
C 4.30 -1.53 -3.13
C 3.63 -2.61 -3.68
C 4.24 -3.38 -4.67
C 5.52 -3.06 -5.10
C 6.19 -1.97 -4.55
C 5.58 -1.21 -3.57
C 4.71 -0.66 -0.44
C 5.40 0.42 0.09
C 6.25 0.26 1.18
C 6.44 -0.99 1.74
C 5.77 -2.09 1.21
C 4.90 -1.92 0.14
H 2.64 -2.86 -3.33
H 3.72 -4.22 -5.10
H 6.00 -3.66 -5.87
H 7.19 -1.71 -4.89
H 6.09 -0.34 -3.16
H 5.25 1.40 -0.37
H 6.78 1.12 1.58
H 7.11 -1.11 2.58
H 5.90 -3.07 1.65
H 4.35 -2.77 -0.24
*
```

---

Below is C24H30AsF6N3NiP as an isolated structure in a non-equilibrium geometry, with properties calculated with the ωB97M-V functional and the def2-TZVPD basis.

highest occupied orbital energy (alpha / beta): -13.8 / -15.0 eV
⟨S²⟩: 3.779
LUMO level (alpha / beta): -0.1932 / -0.2991 Eh
E_tot: -5781.01622 hartree

The geometry in ORCA input format:
```
! RIJCOSX wB97M-V def2-TZVPD def2/J DEFGRID3
* xyz 2 4
Ni -0.29 0.03 1.97
C 0.88 -2.42 1.50
C 2.06 -1.55 1.94
N 1.80 -0.12 1.73
C 2.36 0.77 2.76
C 1.66 0.51 4.12
N 0.27 -0.05 3.96
C 0.09 -1.47 4.41
C -0.74 -2.32 3.49
N -0.42 -2.02 2.10
H 1.14 -3.45 1.70

You'll notice this little blue box around the from public key that suggests that You can check this signature against this public key to see whether or not the private key behind, this public key actually sign this message so let's hit verify sure enough it verifies


 I know that the person in possession with the Private key behind this public key must only binders is sending twenty dollars To some other public key, okay, now, let's use this in the block chain 

blockchain explained

Let's go back to the block chain case where we were that we're looking at before now You'll notice a couple of different things here all right first of all There's not names here anymore right there are just public keys in the form and the two and you'll also notice that that I added a signature section here, okay, so In this case this is this Public key sending two dollars to this public key And here's a message signature that says that it is well What happens if I change this to you know 25 dollars okay? Of course it broke the block


 But it also broke the signature. The signature is not verified and that's why the signature is turning red so Wow? we couldn't press the little mine button you know a miner could take this altered block and Remind this block They're going to end up with something where the block is signed which should eventually happen and there we go and the signature though is still invalid because the minor has no they don't have my Private key, they only have my public key, so they can't come up with the right signature. Okay, 

what is bitcoin blockchain

so that's the way We can make sure that The message this transaction here was posed By the person that had the money and only that person not just anyone else on the Internet So that's how public private key pair Message signing is used to protect transactions.